Domicile Vs Residence – What’s The Difference And Why Does It Matter?

domicile vs residence

Domicile and residence are two terms frequently used in the legal realm, and it’s not uncommon for people to use them interchangeably. However, they are not the same, and understanding the difference between them is important, particularly when it comes to issues such as taxation, voting rights, and legal proceedings. In this article, we’ll delve into the nuances of domicile and residence and why it’s important to get them right.

What Is Domicile?

Domicile is primarily a legal concept and refers to the place where a person has his or her permanent home, and to which he or she has the intention of returning whenever absent. It is the place where an individual has or intends to have his/her permanent residence, and it is also the place where a person is deemed to be a legal resident for tax purposes. Domicile is a concept that is not easy to change, and it is usually determined by a combination of factors, such as one’s physical location, the place where one has registered to vote, and the location of one’s legal documents.

**The text is interrupted by crystal structures:**
<<<
No. 1
The following is a theoretical powder XRD pattern of Mg2CuH6Os. It was derived from a GGA-PBE-relaxed structure, using Cu Kα (weighted mean of Kα1 and Kα2).
Neutral-atom scattering factors, no anomalous dispersion.

Most intense lines, 2θ from 15° to 90°, sorted by position:
18.79°, d 4.722, I 28; 22.59°, d 3.936, I 100; 25.11°, d 3.547, I 31; 33.44°, d 2.679, I 32; 38.05°, d 2.365, I 75; 38.64°, d 2.330, I 44

Crystal structure
```
data_Mg2CuH6Os
_space_group_name_H-M_alt 'P 1'
_space_group_IT_number 1
_space_group_name_Hall 'P 1'
_cell_length_a 9.831
_cell_length_b 9.831
_cell_length_c 9.831
_cell_angle_alpha 27.85
_cell_angle_beta 27.85
_cell_angle_gamma 27.85
loop_
_atom_site_label
_atom_site_type_symbol
_atom_site_fract_x
_atom_site_fract_y
_atom_site_fract_z
_atom_site_occupancy
Mg1 Mg 0.135 0.135 0.135 1
Mg2 Mg 0.302 0.302 0.302 1
Mg3 Mg 0.698 0.698 0.698 1
Mg4 Mg 0.865 0.865 0.865 1
Cu1 Cu 0.409 0.409 0.409 1
Cu2 Cu 0.591 0.591 0.591 1
H1 H 0.127 0.630 0.630 1
H2 H 0.202 0.202 0.715 1
H3 H 0.202 0.715 0.202 1
H4 H 0.285 0.798 0.798 1
H5 H 0.370 0.370 0.873 1
H6 H 0.370 0.873 0.370 1
H7 H 0.630 0.127 0.630 1
H8 H 0.630 0.630 0.127 1
H9 H 0.715 0.202 0.202 1
H10 H 0.798 0.285 0.798 1
H11 H 0.798 0.798 0.285 1
H12 H 0.873 0.370 0.370 1
Os1 Os 0.000 0.000 0.000 1
Os2 Os 0.500 0.500 0.500 1
```

---

No. 2
The following is a theoretical powder XRD pattern of Mg2CuH6Rh2. It was derived from a GGA-PBE-relaxed structure, using Cu Kα (weighted mean of Kα1 and Kα2).
Neutral-atom scattering factors, no anomalous dispersion.

Most intense lines, 2θ from 15° to 90°, sorted by position:
17.28°, d 5.132, I 37; 22.57°, d 3.939, I 29; 36.58°, d 2.456, I 100; 38.26°, d 2.352, I 100; 53.97°, d 1.699, I 32; 68.07°, d 1.377, I 31

Crystal structure
```
data_Mg2CuH6Rh2
_space_group_name_H-M_alt 'P 1'
_space_group_IT_number 1
_space_group_name_Hall 'P 1'
_cell_length_a 5.806
_cell_length_b 5.806
_cell_length_c 5.806
_cell_angle_alpha 47.80
_cell_angle_beta 47.80
_cell_angle_gamma 47.80
loop_
_atom_site_label
_atom_site_type_symbol
_atom_site_fract_x
_atom_site_fract_y
_atom_site_fract_z
_atom_site_occupancy
Mg1 Mg 0.227 0.227 0.227 1
Mg2 Mg 0.773 0.773 0.773 1
Cu1 Cu 0.000 0.000 0.000 1
H1 H 0.188 0.761 0.761 1
H2 H 0.239 0.239 0.812 1
H3 H 0.239 0.812 0.239 1
H4 H 0.761 0.188 0.761 1
H5 H 0.761 0.761 0.188 1
H6 H 0.812 0.239 0.239 1
Rh1 Rh 0.395 0.395 0.395 1
Rh2 Rh 0.605 0.605 0.605 1
```

---

No. 3
The following is a theoretical powder XRD pattern of YMg2CuH. It was derived from a GGA-PBE-relaxed structure, using Cu Kα (weighted mean of Kα1 and Kα2).
Neutral-atom scattering factors, no anomalous dispersion.

Most intense lines, 2θ from 15° to 90°, sorted by position:
19.17°, d 4.630, I 29; 29.15°, d 3.064, I 23; 35.12°, d 2.555, I 100; 41.69°, d 2.167, I 31; 58.33°, d 1.582, I 22; 71.85°, d 1.314, I 23

Crystal structure
```
data_YMg2CuH
_space_group_name_H-M_alt 'P 1'
_space_group_IT_number 1
_space_group_name_Hall 'P 1'
_cell_length_a 4.333
>>>
**The crystal structures stop here:**

What Does Residence Mean?

Residence, on the other hand, simply means the place where a person is currently living. It can be temporary or permanent, and a person can have several residences at the same time. For example, a person may live in one country but have a second home in another country. For tax purposes, residence is usually determined by the duration of stay in a particular location.

Why Does It Matter?

Understanding the differences between domicile and residence is essential because it has real-world implications in various fields. For example, for tax purposes, residents are typically taxed where they earn their income, while domiciles are taxed in the country where they are considered to have their permanent home. The distinction between the two can be vital to determining whether or not an individual is eligible for certain types of tax exemptions or deductions.

Additionally, domicile is critical for determining where an individual’s will is executed after death and which court has jurisdiction over legal matters. It also determines where a person can cast their vote in elections, access social benefits, and participate in local elections.

How To Establish Domicile

Establishing domicile is not easy, and there is no one definitive way to do it. It is usually a combination of factors such as where an individual pays taxes, the location of their permanent residence, where they are registered to vote, where their legal documents are stored, and what their intentions are.

To establish domicile, a person needs to demonstrate that they have a long-term commitment to living in a particular place. The person must be able to show that he/she has a physical presence in that location and has no intention of returning to their former address. It can include things such as registering to vote, owning a house, joining a local community group, or placing all legal documents at a location in that area.


In conclusion, the difference between domicile and residence may appear subtle, but it is crucial to understand in legal matters. Domicile is a more legal term; it holds much more weight when determining jurisdiction, eligibility for tax deductions, social benefits, and much more. Whereas residence is a more flexible concept and is determined by where a person resides for a specific period. Therefore, individuals must take the effort to understand the distinctions and ensure that they are correctly defining their domicile or residence in any legal matters.